New SLA Advisory on Third-Party Providers taking a Percentage of Sales

The Alliance has an update for members on a new advisory being proposed by the State Liquor Authority that would address the issue of so-called third-party providers, like delivery platforms, who take a percentage of a bar or restaurant's sales.
Over a year ago, SLA announced that it was considering issuing an industry advisory that would regulate the ability of third-party providers - such as delivery platforms - to take a percentage of the F&B sales of bars and restaurants that hold liquor licenses. At that time, SLA had issued a draft of the proposed advisory, and held a public hearing to take comments. At the hearing, it was made clear that the Alcoholic Beverage Control Law does not permit a liquor licensee to share a percentage of any sales from its business – food or beverage – with any person or entity that is not listed on the license. It was discussed that the only well-established exception to the rule was for landlords who charge percentage rent up to 10% of gross sales, an exception going back to the Great Depression. After the hearing, SLA announced that before issuing a final advisory, it would consider the issue further.
This rule against sharing in sales on a percentage basis comports with longstanding SLA practice. Yet for years, predatory big tech delivery platforms have been forcing liquor licensees into "take it or leave it" contracts in which the platforms take an ever-increasing percentage of F&B sales - sometimes as high as 30%.
With the pandemic receding, SLA has renewed its focus on this issue by issuing a new draft of its proposed advisory. The NYC Hospitality Alliance has grave concerns with this latest draft.
- Instead of preserving the limited and historic exception for landlords who charge percentage rent, the proposed advisory creates an entire new category of exceptions to the law that allows predatory delivery platforms to take a significant percentage of bar and restaurant sales.
- It creates a new set of rules that places new paperwork and reporting requirements squarely on the shoulders of bar and restaurant owners, and threatens enforcement action for failure to comply with those new rules, even though the information or data necessary to comply is controlled by the delivery platforms.
- It opens a loophole that would allow delivery platforms to take an unlimited portion of sales by ignoring mandatory fees charged by some delivery platforms in addition to the percentage fee.
Data records, as found in the file:
-- begin --
No. 1
Starting from DFT lattice parameters and positions (PBE), the X-ray diffraction stick pattern of Hf2N2O was computed for Cu Kα, 1.54184 Å.
Neutral-atom scattering factors, no anomalous dispersion.

Most intense lines, 10° ≤ 2θ ≤ 90°, low angle first:
| d (Å) | Rel. int. |
| --- | --- |
| 4.117 | 13 |
| 2.913 | 100 |
| 2.903 | 32 |
| 2.520 | 50 |
| 1.979 | 7 |
| 1.784 | 23 |
| 1.780 | 15 |
| 1.778 | 7 |
| 1.522 | 16 |
| 1.519 | 19 |

```
data_Hf2N2O
_symmetry_space_group_name_H-M 'P 1'
_symmetry_Int_Tables_number 1
_cell_length_a 8.708
_cell_length_b 8.730
_cell_length_c 8.737
_cell_angle_alpha 109.58
_cell_angle_beta 109.33
_cell_angle_gamma 109.35
loop_
_symmetry_equiv_pos_as_xyz
'x,y,z'
loop_
_atom_site_label
_atom_site_type_symbol
_atom_site_fract_x
_atom_site_fract_y
_atom_site_fract_z
Hf1 Hf 0.000 0.000 0.000
Hf2 Hf 0.000 0.491 0.492
Hf3 Hf 0.037 0.743 0.216
Hf4 Hf 0.218 0.959 0.668
Hf5 Hf 0.247 0.195 0.462
Hf6 Hf 0.262 0.709 0.971
Hf7 Hf 0.296 0.468 0.246
Hf8 Hf 0.478 0.683 0.716
Hf9 Hf 0.505 0.432 0.933
Hf10 Hf 0.507 0.925 0.425
Hf11 Hf 0.548 0.243 0.211
Hf12 Hf 0.719 0.961 0.176
Hf13 Hf 0.748 0.714 0.452
Hf14 Hf 0.767 0.215 0.960
Hf15 Hf 0.791 0.453 0.749
Hf16 Hf 0.970 0.183 0.710
N1 N 0.026 0.443 0.721
N2 N 0.030 0.252 0.995
N3 N 0.224 0.220 0.701
N4 N 0.239 0.662 0.183
N5 N 0.302 0.985 0.476
N6 N 0.477 0.984 0.195
N7 N 0.491 0.674 0.968
N8 N 0.517 0.479 0.188
N9 N 0.527 0.719 0.505
N10 N 0.708 0.179 0.688
N11 N 0.722 0.938 0.914
N12 N 0.770 0.949 0.428
N13 N 0.784 0.484 0.001
N14 N 0.801 0.250 0.235
N15 N 0.984 0.699 0.422
N16 N 0.988 0.975 0.234
O1 O 0.018 0.749 0.946
O2 O 0.211 0.439 0.454
O3 O 0.275 0.760 0.733
O4 O 0.294 0.206 0.231
O5 O 0.477 0.155 0.927
O6 O 0.528 0.451 0.678
O7 O 0.739 0.469 0.496
O8 O 0.993 0.932 0.736
```


No. 2
Starting from DFT lattice parameters and positions (PBE), the X-ray diffraction stick pattern of Hf2N2O was computed for Cu Kα, 1.54184 Å.
Neutral-atom scattering factors, no anomalous dispersion.

Most intense lines, 10° ≤ 2θ ≤ 90°, low angle first:
| d (Å) | Rel. int. |
| --- | --- |
| 4.115 | 11 |
| 2.910 | 100 |
| 2.520 | 37 |
| 2.376 | 6 |
| 1.978 | 5 |
| 1.976 | 4 |
| 1.784 | 12 |
| 1.781 | 22 |
| 1.521 | 12 |
| 1.519 | 17 |

```
data_Hf2N2O
_symmetry_space_group_name_H-M 'P 1'
_symmetry_Int_Tables_number 1
_cell_length_a 8.721
_cell_length_b 8.726
_cell_length_c 8.732
_cell_angle_alpha 109.40
_cell_angle_beta 109.42
_cell_angle_gamma 109.50
loop_
_symmetry_equiv_pos_as_xyz
'x,y,z'
loop_
_atom_site_label
_atom_site_type_symbol
_atom_site_fract_x
_atom_site_fract_y
_atom_site_fract_z
Hf1 Hf 0.000 0.000 0.000
Hf2 Hf 0.004 0.506 0.498
Hf3 Hf 0.040 0.284 0.827
Hf4 Hf 0.215 0.250 0.535
Hf5 Hf 0.234 0.528 0.280
Hf6 Hf 0.252 0.034 0.774
Hf7 Hf 0.278 0.815 0.037
Hf8 Hf 0.458 0.784 0.750
Hf9 Hf 0.492 0.566 0.070
Hf10 Hf 0.505 0.070 0.571
Hf11 Hf 0.546 0.281 0.320
Hf12 Hf 0.728 0.754 0.536
Hf13 Hf 0.753 0.035 0.285
Hf14 Hf 0.764 0.534 0.786
Hf15 Hf 0.787 0.317 0.033
Hf16 Hf 0.970 0.794 0.255
-- stop --
- It offers a one-size-fits-all policy that treats all third-party providers the same, without recognizing that there is an important difference between some benign third-party providers (such as consultants or marketing firms that may take a percentage) versus the predatory delivery platforms that exercise significant control over bars and restaurants in a multitude of ways, who will now be able to share a significant percentage of sales without real limitations.
From "take it or leave it" contracts, to ownership of your customer data, to influencing marketing and pricing decisions, to creating ghost websites and phone numbers, to collecting and controlling your own funds from your own sales before remitting them to you (minus their fees), delivery platforms exercise significant and increasing control over bars and restaurants. Yet the proposed advisory only contains general language about their influence being prohibited without detailing any specific prohibited practices such as the above examples. Can they share in your revenue while controlling your customer data, for example? The draft does not answer that basic question.
Any deviation from longstanding policy requires careful consideration to ensure that the policy is sound, and follows the requirements of the ABC Law. Our members are on the frontlines of any unintended consequences caused by the new policies and procedures proposed in this draft advisory. SLA has an obligation to protect its licensees from predatory third parties, not make it easier for them to feed off the hard work of small business bar and restaurant owners. This issue is too big and important to adopt without additional thorough and open public hearings on the latest draft. Since the last (and only) public hearing over a year ago, the draft has significantly changed, and so have the issues facing our industry. Adoption of a final advisory should be adjourned until such further discussions and open hearings can be held in a post-pandemic environment.
There is no reason to rush.
We encourage you to read the full text of the draft advisory here.